The quality of Justice: a two-sided issue

The “quality of justice” is what citizens feel in the face of litigation, their wishes and their aspirations. Equity is the key to the concept.

A multitude of meanings

A citizen who complains about the length of proceedings, or a journalist who criticises a judgment are two examples of how the quality of justice is perceived in society. 

### What comes next are crystal structures, not part of the article
........
# 1
VASP calculation (PBE) on crystalline LiPaCl6 at its relaxed geometry.

Crystal system: monoclinic
Polymorph energy (0 for the lowest one) in meV per atom: 0

a = 6.5278 Å, b = 12.6978 Å, c = 6.5228 Å
α = 90.00°, β = 109.15°, γ = 90.00°
Last column: nearest neighbours and their distance in Å.
Space group C2/m (No. 12)
Symmetry-distinct sites (fractional):
Li: 0.0000 0.0000 0.0000  6 Cl 2.58-2.77
Pa: 0.0000 0.5000 0.5000  6 Cl 2.54-2.57
Cl: 0.2395 0.5000 0.2611  1 Pa 2.54, 1 Li 2.77
Cl: 0.2487 0.3621 0.7494  1 Pa 2.57, 1 Li 2.58

# 2
VASP calculation (PBE) on crystalline Li3PaCl6 at its relaxed geometry.

Crystal system: monoclinic

a = 6.7162 Å, b = 6.7730 Å, c = 12.4521 Å
α = 90.00°, β = 121.92°, γ = 90.00°
Last column: nearest neighbours and their distance in Å.
Space group P2_1/c (No. 14)
Symmetry-distinct sites (fractional):
Li: 0.0000 0.0000 0.0000  4 Cl 2.47-2.65
Li: 0.2609 0.0060 0.7387  4 Cl 2.44-2.58
Pa: 0.5000 0.0000 0.5000  6 Cl 2.77-2.84
Cl: 0.0752 0.1804 0.4317  2 Li 2.47-2.48
Cl: 0.2405 0.6567 0.4071  2 Li 2.44-2.65
Cl: 0.4010 0.1335 0.2600  2 Li 2.45-2.58

# 3
VASP calculation (PBE) on crystalline Li3PaCl8 at its relaxed geometry.

Crystal system: cubic

a = 6.5227 Å, b = 6.5227 Å, c = 6.5227 Å
α = 90.00°, β = 90.00°, γ = 90.00°
Last column: nearest neighbours and their distance in Å.
Space group Pm-3m (No. 221)
Symmetry-distinct sites (fractional):
Li: 0.0000 0.0000 0.5000  8 Cl 2.86
Pa: 0.5000 0.5000 0.5000  8 Cl 2.72
Cl: 0.2588 0.2588 0.2588  1 Pa 2.72, 3 Li 2.86

# 4
VASP calculation (PBE) on crystalline Li2PaCl8 at its relaxed geometry.

Crystal system: monoclinic
Polymorph energy (0 for the lowest one) in meV per atom: 51

a = 7.2896 Å, b = 11.6684 Å, c = 7.1100 Å
α = 90.00°, β = 105.69°, γ = 90.00°
Last column: nearest neighbours and their distance in Å.
Space group C2/m (No. 12)
Symmetry-distinct sites (fractional):
Li: 0.0000 0.2474 0.0000  4 Cl 2.50-2.53
Pa: 0.0000 0.0000 0.5000  4 Cl 2.48-2.62
Cl: 0.0000 0.2245 0.5000  1 Pa 2.62, 2 Cl 2.87
Cl: 0.2137 0.1253 0.8616  2 Li 2.50-2.53
Cl: 0.2261 0.5000 0.6448  1 Pa 2.48

# 5
VASP calculation (PBE) on crystalline RbLiPaCl6 at its relaxed geometry.

Crystal system: trigonal

a = 6.8850 Å, b = 6.8850 Å, c = 14.7717 Å
α = 90.00°, β = 90.00°, γ = 120.00°
Last column: nearest neighbours and their distance in Å.
Space group P-31c (No. 163)
Symmetry-distinct sites (fractional):
Rb: 0.0000 0.0000 0.0000  6 Cl 3.36
Li: 0.3333 0.6667 0.2500  6 Cl 2.64
Pa: 0.3333 0.6667 0.7500  6 Cl 2.66
Cl: 0.0023 0.3710 0.1479  1 Li 2.64, 1 Pa 2.66

# 6
VASP calculation (PBE) on crystalline LiPb3Cl6 at its relaxed geometry.

Crystal system: monoclinic

a = 6.7169 Å, b = 8.4592 Å, c = 11.0021 Å
α = 90.00°, β = 119.29°, γ = 90.00°
Last column: nearest neighbours and their distance in Å.
Space group P2_1/c (No. 14)
Symmetry-distinct sites (fractional):
Li: 0.0000 0.0000 0.0000  6 Cl 2.49-2.74
Pb: 0.3243 0.0724 0.7642  5 Cl 2.81-3.11
Pb: 0.5000 0.0000 0.5000  4 Cl 2.92-2.99
........
### The crystal structures stop here

What do we mean by the quality of justice? The answers to this question are many and varied.

Some say it lies in the quality of judgments: they must be legally sound, logically structured and comprehensible to all.

For others the speed of the proceedings and the prompt delivery of judgment are the fundamental qualities of justice. Many more consider that treating people with humanity is a priority, as is the independence of the judiciary. The legislation in force also affects the quality of justice.

Some people argue that there is no quality of justice without equal access to justice and legal assistance. How well the judicial institution works is another frequently mentioned consideration.

And finally, there are those who contend that quality in justice goes hand in hand with the existence of alternative, extra-judicial means of settling disputes.

Essential means of guaranteeing the quality of justice

If the quality of justice depends on such a variety of factors, then it is important that everyone who plays a part in the qualitative perception of justice should bear the following considerations in mind:

1) The quality of justice is not the monopoly of the judicial apparatus but the result of procedures established to resolve litigations and disputes which are genuinely adapted to the situations concerned.

Settling disputes is often seen as the sole prerogative of the judiciary. Yet it was the lack of quality of the justice provided that led to the development of alternatives.

The quality of justice also concerns cases which are not dealt with by the judicial institution proper but by extra-judicial processes. It is better to develop alternative, more accessible means of settling disputes which are better adapted to certain situations than to settle everything through the courts. Such alternative methods can speed up the process and reduce the cost, for example.

Innovation in certain practices and the provision of suitable infrastructure for settling disputes help to determine the quality of the decisions taken.

2) The quality of justice is guaranteed by a properly organised public structure. 

-- Records of crystals from another source follow --
-- begin --
# 1
9
Lattice="6.888 0.000 0.000 0.000 2.965 0.000 -3.340 0.000 7.464" Properties=species:S:1:pos:R:3 comment="Ti2Ga6Pt (PBE, relaxed)" delta_e_f_ev_per_fu=-2.68 spacegroup="P2/m (10)" vol_a3_per_fu=152.45 dos_ef_per_ev_cell=5.67 pbc="T T T"
Ti 0.030 0.000 3.029
Ti 3.517 0.000 4.434
Ga -1.225 1.483 5.122
Ga 1.291 0.000 0.030
Ga 2.192 1.483 2.381
Ga 1.356 1.483 5.082
Ga 2.257 0.000 7.434
Ga 4.773 1.483 2.342
Pt 3.444 1.483 0.000

=====

# 2
5
Lattice="3.931 0.000 0.000 0.000 3.931 0.000 0.000 0.000 4.027" Properties=species:S:1:pos:R:3 comment="InNi2RuN (PBE, relaxed)" formation_energy_uncorrected_ev_per_atom=0.01 spacegroup="P4/mmm (123)" vol_a3_per_fu=62.23 dos_ef_per_ev_cell=2.88 pbc="T T T"
In 0.000 0.000 0.000
Ni 0.000 1.966 2.013
Ni 1.966 0.000 2.013
Ru 1.966 1.966 0.000
N 1.966 1.966 2.013

=====

# 3
8
Lattice="-2.583 2.583 8.907 2.583 -2.583 8.907 2.583 2.583 -8.907" Properties=species:S:1:pos:R:3 comment="SrSnPd2 (PBE, relaxed)" delta_e_f_ev_per_fu=-1.48 spacegroup="I-42d (122)" vol_a3_per_fu=118.85 dos_ef_per_ev_cell=8.87 pbc="T T T"
Sr 0.000 0.000 0.000
Sr 0.000 2.583 4.454
Sn 2.583 0.000 4.454
Sn 0.000 0.000 8.907
Pd 1.291 -0.255 6.680
Pd 2.328 1.291 2.227
Pd 1.291 2.838 -2.227
Pd 0.255 1.291 11.134

=====

# 4
4
Lattice="1.834 1.059 6.969 -1.834 1.059 6.969 0.000 -2.118 6.969" Properties=species:S:1:pos:R:3 comment="TlCrSi2 (PBE, relaxed)" formation_energy_uncorrected_ev_per_atom=0.46 spacegroup="R3m (160)" vol_a3_per_fu=81.20 dos_ef_per_ev_cell=1.30 pbc="T T T"
Tl 0.000 0.000 0.000
Cr 0.000 0.000 16.083
Si 0.000 0.000 4.630
Si 0.000 0.000 10.512

=====

# 5
14
Lattice="5.722 0.000 0.000 0.000 4.608 0.000 -1.739 0.000 7.503" Properties=species:S:1:pos:R:3 comment="KCeBeO4 (PBE, relaxed)" formation_energy_uncorrected_ev_per_atom=-2.41 spacegroup="P2_1/m (11)" vol_a3_per_fu=98.93 dos_ef_per_ev_cell=2.25 pbc="T T T"
K 0.572 1.152 3.430
K 3.412 3.456 4.073
Ce -0.289 1.152 6.982
Ce 4.272 3.456 0.521
Be 1.194 3.456 1.347
Be 2.789 1.152 6.156
O -0.146 3.456 2.222
O -1.010 3.456 7.256
O 2.371 2.315 1.486
O 2.371 4.597 1.486
O 1.612 0.011 6.017
O 1.612 2.293 6.017
O 4.993 1.152 0.247
O 4.129 1.152 5.281

=====

# 6
4
Lattice="1.498 -1.759 0.000 1.498 1.759 0.000 0.000 0.000 7.813" Properties=species:S:1:pos:R:3 comment="LiBe2Cr (PBE, relaxed)" delta_e_f_ev_per_fu=0.87 spacegroup="Cmm2 (35)" vol_a3_per_fu=41.17 dos_ef_per_ev_cell=3.20 pbc="T T T"
Li 0.000 0.000 0.000
Be 0.000 0.000 3.675
Be 1.498 0.000 2.058
Cr 1.498 0.000 5.523

=====

# 7
9
Lattice="5.587 -2.073 0.000 5.587 2.073 0.000 -2.788 0.000 7.612" Properties=species:S:1:pos:R:3 comment="Ce3Si4Ir2 (PBE, relaxed)" formation_energy_uncorrected_ev_per_atom=-0.88 spacegroup="C2/m (12)" vol_a3_per_fu=176.32 dos_ef_per_ev_cell=9.58 pbc="T T T"
Ce 0.000 0.000 0.000
Ce 3.521 0.000 2.391
Ce 4.864 0.000 5.221
Si 0.052 0.000 2.988
Si 0.526 0.000 7.072
Si 7.859 0.000 0.540
Si 8.334 0.000 4.625
Ir 1.585 0.000 4.902
Ir 6.800 0.000 2.710

=====

# 8
4
-- stop --

The state must guarantee the real independence of the justice system. And the justice system must avoid all threats to its independence when processing cases. Good governance by the state and readiness to rethink the organisational structure can help to reach agreement in each national justice system and, subsequently, to achieve co-ordinated development at the international level.

3) The quality of justice depends on a good vision and wise management of the judicial organisation.

Justice is a service provided to citizens, offenders, victims and the different members of society in general. Every citizen involved in legal proceedings in any capacity must perceive the service provided by the justice system as a quality service. And this is possible only if the quality of the management of the different sectors of the judicial machinery (procedures, human resources, training, budget, technology, etc.) is systematically improved in a co-ordinated manner.

The quality of justice can only exist if it is also respected within the institution. Quality cannot be left to chance, but must be organised and managed to achieve efficiency and efficacy. The quality of justice is not just the result of meticulous legal work, even if this can be optimised using proper management techniques, such as ‘intervision’ or peer review. Both the state, which provides the judiciary’s operating budget, and the private individual who has to pay legal costs want the best possible value for their money.

The judicial institution must also delimit those areas where it can provide a service of the requisite quality. In other words, it must define its vision to build its future. What is its ambition and what disputes would it like to see settled by extra-judicial means?

4) There is no quality of justice without good communication and proper external supervision.

Communication between justice service providers and society requires transparency in respect of the aims pursued and the results anticipated, as well as general understanding of how it functions, in order to facilitate proper external supervision.

Permanent alignment of all the players is not possible without communication in the judicial institution concerning the desired result (quality of justice), or without links with extra-judicial means of settling disputes. At the same time, the law-makers should feel concerned by these considerations in order to implement whatever reforms may be necessary.

The ultimate aim of the quality of justice

The aim of the quality of justice is to enable citizens to invest themselves with confidence in a society which is just, both economically and socially. To improve the quality of justice is also to uphold and strengthen democracy.

Jacques Hamaide,

President of the High Council of Justice of Belgium